University Students Test NASA Tech in Microgravity

26 Feb 2021

____________
[1]
Theoretical powder XRD pattern of CoNi5 for Cu Kα (weighted mean of Kα1 and Kα2), from a cell relaxed with GGA-PBE.
Kinematic intensities with the Lorentz-polarization factor, no thermal factor.

Top 10 peaks for 10 to 90 degrees two-theta, most intense first:
1.953 Å, intensity 1000; 1.919 Å, intensity 914; 2.106 Å, intensity 742; 2.293 Å, intensity 288; 1.192 Å, intensity 272; 1.147 Å, intensity 245; 1.285 Å, intensity 234; 1.248 Å, intensity 205; 1.753 Å, intensity 193; 1.862 Å, intensity 192

Structure:
Unit cell a=4.587 b=4.587 c=7.450 alpha=90.00 beta=90.00 gamma=120.00
Element x y z (fractional)
Co1 0.000 0.000 0.000
Co2 0.000 0.000 0.500
Ni1 0.170 0.341 0.250
Ni2 0.170 0.830 0.250
Ni3 0.333 0.667 0.564
Ni4 0.333 0.667 0.936
Ni5 0.341 0.170 0.750
Ni6 0.659 0.830 0.250
Ni7 0.667 0.333 0.064
Ni8 0.667 0.333 0.436
Ni9 0.830 0.170 0.750
Ni10 0.830 0.659 0.750

[2]
Theoretical powder XRD pattern of DyAlPdPt for Cu Kα (weighted mean of Kα1 and Kα2), from a cell relaxed with GGA-PBE.
Kinematic intensities with the Lorentz-polarization factor, no thermal factor.

Top 10 peaks for 10 to 90 degrees two-theta, most intense first:
2.376 Å, intensity 1000; 2.177 Å, intensity 580; 3.771 Å, intensity 438; 1.605 Å, intensity 300; 1.292 Å, intensity 291; 1.252 Å, intensity 157; 1.257 Å, intensity 99; 1.418 Å, intensity 81; 3.488 Å, intensity 69; 1.885 Å, intensity 66

Structure:
Unit cell a=4.354 b=4.354 c=9.178 alpha=90.00 beta=90.00 gamma=120.00
Element x y z (fractional)
Dy1 0.333 0.667 0.000
Dy2 0.667 0.333 0.500
Al1 0.000 0.000 0.260
Al2 0.000 0.000 0.760
Pd1 0.333 0.667 0.667
Pd2 0.667 0.333 0.167
Pt1 0.333 0.667 0.331
Pt2 0.667 0.333 0.831

[3]
Theoretical powder XRD pattern of Cu4Ag3 for Cu Kα (weighted mean of Kα1 and Kα2), from a cell relaxed with GGA-PBE.
Kinematic intensities with the Lorentz-polarization factor, no thermal factor.

Top 10 peaks for 10 to 90 degrees two-theta, most intense first:
2.244 Å, intensity 1000; 1.963 Å, intensity 452; 2.212 Å, intensity 319; 1.886 Å, intensity 172; 1.180 Å, intensity 150; 1.367 Å, intensity 111; 1.353 Å, intensity 108; 1.122 Å, intensity 87; 1.185 Å, intensity 76; 1.171 Å, intensity 73

Structure:
Unit cell a=9.052 b=2.790 c=8.074 alpha=90.00 beta=93.74 gamma=90.00
Element x y z (fractional)
Cu1 0.000 0.000 0.000
Cu2 0.063 0.500 0.279
Cu3 0.204 0.500 0.866
Cu4 0.413 0.000 0.748
Cu5 0.500 0.500 0.000
Cu6 0.563 0.000 0.279
Cu7 0.704 0.000 0.866
Cu8 0.913 0.500 0.748
Ag1 0.128 0.000 0.593
Ag2 0.281 0.000 0.138
Ag3 0.352 0.500 0.440
Ag4 0.628 0.500 0.593
Ag5 0.781 0.500 0.138
Ag6 0.852 0.000 0.440
____________
Back to the entry =


NASA teamed up with a group of researchers from Dr. Jacob Chung’s lab at the University of Florida in Gainesville and the Aerospace Corporation based in El Segundo, California, to test two technologies to reduce the amount of cryogenic propellant consumed during future space missions. Instead of working in a typical lab, a plane following a parabolic flight path briefly suspended the technologies and researchers in microgravity.

Spacecraft propellants such as liquid hydrogen and oxygen must be maintained at extremely cold, or cryogenic, temperatures (-296 degrees Fahrenheit and below) to keep them from boiling or evaporating. During in-space transfers or refueling, the servicing spacecraft’s lines and tanks could be much warmer than the fluid and could lead to significant propellant loss.


NASA’s Reduced Gravity Cryogenic Transfer (RGCT) project has come up with two solutions – a Teflon™ coating on the inside of the lines and a pulse flow technique. The coating lowers the interior temperature of the line, allowing the cold propellant to flow sooner. The pulse flow technique improves the system’s ability to remove heat from the line quickly. Both the coating and the pulse flow technique were developed by the University of Florida under the NASA RGCT project. Eventually, engineers could use both of these technologies in tandem for a maximum propellant savings.

The microgravity testing was key to determining whether the technologies kept the fuel temperature down. During the Zero Gravity Corporation flight, the aircraft climbed to 30,000 feet and then quickly descended to 25,000 feet, creating about 20 seconds of microgravity. The engineering team built a test rig that uses liquid nitrogen to simulate the fuel transfer process and worked together to control and monitor the line chill down procedure throughout the 25 parabolas they experienced during the flight.

**Between two parts of the article: materials data**
┌──
Record 1
Starting from the PBE geometry in Alexandria, the XRD peak list of Pa3Ag3S8 was simulated for Cu Kα (λ = 1.5418 Å).
Lines closer than 0.1° are merged.

Cell and atoms:
Unit cell a=8.1664 b=8.1664 c=18.3191 alpha=90.00 beta=90.00 gamma=120.00
Space group R-3m (No. 166, hexagonal axes)
Symmetry-distinct sites (fractional):
Pa (0.0000, 0.5000, 0.0000) [9 per cell]
Ag (0.0000, 0.0000, 0.1134) [6 per cell]
Ag (0.0000, 0.0000, 0.5000) [3 per cell]
S (0.0000, 0.0000, 0.2563) [6 per cell]
S (0.0166, 0.5083, 0.2576) [18 per cell]

Largest 10 diffraction maxima, by angle, 2θ from 10° to 80°:
2θ (°)	intensity	(hkl)
13.42	28	1 0 1
14.51	54	0 0 3
25.66	100	0 2 1
26.26	78	1 1 3
27.03	51	2 0 2
27.42	46	0 1 5
31.98	77	0 2 4
41.83	34	1 2 5
44.37	72	2 2 0
47.29	55	2 0 8

Record 2
Starting from the PBE geometry in Alexandria, the XRD peak list of ScPaAgS4 was simulated for Cu Kα (λ = 1.5418 Å).
Lines closer than 0.1° are merged.

Cell and atoms:
Unit cell a=7.605 b=8.098 c=10.873 alpha=90.00 beta=90.00 gamma=90.00
Space group Imma (No. 74)
Symmetry-distinct sites (fractional):
Sc (0.250, 0.250, 0.250) [4 per cell]
Pa (0.000, 0.000, 0.000) [4 per cell]
Ag (0.000, 0.250, 0.644) [4 per cell]
S (0.000, 0.029, 0.247) [8 per cell]
S (0.238, 0.250, 0.010) [8 per cell]

Largest 10 diffraction maxima, by angle, 2θ from 10° to 80°:
2θ (°)	intensity	(hkl)
14.21	63	1 0 1
22.91	21	1 1 2
23.39	34	2 0 0
26.25	100	1 2 1
27.24	76	1 0 3
32.30	29	2 2 0
36.38	28	2 2 2
42.90	31	3 2 1
46.81	59	2 2 4
53.21	20	1 4 3

Record 3
Starting from the PBE geometry in Alexandria, the XRD peak list of Pa2AgSe4S was simulated for Cu Kα (λ = 1.5418 Å).
Lines closer than 0.1° are merged.

Cell and atoms:
Unit cell a=12.514 b=3.912 c=8.048 alpha=90.00 beta=110.11 gamma=90.00
Space group C2/m (No. 12)
Symmetry-distinct sites (fractional):
Pa (0.158, 0.000, 0.182) [4 per cell]
Ag (0.000, 0.000, 0.500) [2 per cell]
Se (0.141, 0.500, 0.438) [4 per cell]
Se (0.174, 0.000, 0.823) [4 per cell]
S (0.000, 0.500, 0.000) [2 per cell]

Largest 10 diffraction maxima, by angle, 2θ from 10° to 80°:
2θ (°)	intensity	(hkl)
22.13	78	2 0 1
23.20	48	2 0 -2
23.97	49	1 1 0
31.61	64	3 1 -1
32.33	44	3 1 0
35.23	100	3 1 -2
35.67	97	0 0 3
37.21	62	3 1 1
41.06	50	1 1 -3
46.40	73	0 2 0

Record 4
Starting from the PBE geometry in Alexandria, the XRD peak list of Pa2AgSeS4 was simulated for Cu Kα (λ = 1.5418 Å).
Lines closer than 0.1° are merged.

Cell and atoms:
Unit cell a=12.516 b=3.874 c=7.575 alpha=90.00 beta=109.17 gamma=90.00
Space group C2/m (No. 12)
Symmetry-distinct sites (fractional):
Pa (0.176, 0.000, 0.200) [4 per cell]
Ag (0.000, 0.000, 0.500) [2 per cell]
Se (0.000, 0.500, 0.000) [2 per cell]
S (0.141, 0.500, 0.441) [4 per cell]
S (0.178, 0.000, 0.826) [4 per cell]

Largest 10 diffraction maxima, by angle, 2θ from 10° to 80°:
2θ (°)	intensity	(hkl)
22.44	80	2 0 1
24.49	100	2 0 -2
28.38	69	1 1 1
31.93	81	3 1 -1
32.41	59	3 1 0
36.22	52	3 1 -2
36.78	38	1 1 2
43.03	78	1 1 -3
44.94	51	5 1 -2
45.86	43	3 1 2
└──
**End of the materials data**


“These technologies performed as we’d hoped during the recent parabolic flight test,” said Jason Hartwig, RGCT principal investigator at NASA’s Glenn Research Center in Cleveland. “We demonstrated more than 50% propellant mass reduction using pulse flow compared to continuous flow and more than 55% mass reduction using the coated tube compared to an uncoated line.”

Records of crystals, kept here for reference:
NbCr3Ag2S8: simulated XRD peak list (copper Kα), based on a cell relaxed with GGA-PBE.

Largest 12 diffraction maxima, in order of rising 2θ, 2θ from 10° to 90°:
| 2θ/deg | I_rel | hkl |
| --- | --- | --- |
| 14.76 | 48 | 1 0 0 |
| 19.90 | 49 | 1 0 -1 |
| 20.32 | 44 | 1 0 1 |
| 29.05 | 39 | 0 2 1 |
| 29.63 | 64 | 1 2 0 |
| 29.77 | 29 | 2 0 0 |
| 32.59 | 29 | 1 2 -1 |
| 40.44 | 54 | 2 0 -2 |
| 40.56 | 51 | 1 2 -2 |
| 41.00 | 100 | 1 2 2 |
| 52.49 | 30 | 0 4 0 |
| 52.75 | 51 | 3 2 0 |

Atomic structure:
```
NbCr3Ag2S8
1.0
6.0038 0.0000 0.0000
0.0000 6.9733 0.0000
-0.1353 0.0000 6.5146
Nb Cr Ag S
1 3 2 8
Direct
0.0000 0.0000 0.0000
0.0000 0.5000 0.0000
0.5000 0.2501 0.0000
0.5000 0.7499 0.0000
0.5000 0.2526 0.5000
0.5000 0.7474 0.5000
0.1728 0.2560 0.2139
0.1728 0.7440 0.2139
0.3288 0.5000 0.7969
0.3353 0.0000 0.7837
0.6647 0.0000 0.2163
0.6712 0.5000 0.2031
0.8272 0.2560 0.7861
0.8272 0.7440 0.7861
```


(1)
This entry pairs a crystal structure of YLu3 with its simulated powder X-ray diffraction pattern. Radiation: Cu Kα X-rays. Structure: a DFT-relaxed cell (PBE, the Materials Project).
Lines closer than 0.1° are merged.

The 10 most intense peaks (10 to 90 degrees two-theta), by intensity:
| 2theta | Rel. int. |
| --- | --- |
| 33.2 | 100 |
| 32.2 | 24 |
| 29.0 | 24 |
| 61.9 | 22 |
| 58.0 | 20 |
| 51.3 | 20 |
| 62.5 | 16 |
| 43.8 | 16 |
| 85.1 | 14 |
| 89.4 | 9 |

Structure:
a = 7.1185 Å, b = 7.1185 Å, c = 5.5653 Å
α = 90.00°, β = 90.00°, γ = 120.00°
Space group P6_3/mmc (No. 194)
Unique sites:
Y  0.3333  0.6667  0.2500 [2 per cell]
Lu  0.1652  0.3305  0.7500 [6 per cell]



(2)
This entry pairs a crystal structure of LuZn5 with its simulated powder X-ray diffraction pattern. Radiation: Cu Kα X-rays. Structure: a DFT-relaxed cell (PBE, the Materials Project).
Lines closer than 0.1° are merged.

The 10 most intense peaks (10 to 90 degrees two-theta), by intensity:
| 2theta | Rel. int. |
| --- | --- |
| 38.2 | 100 |
| 40.7 | 80 |
| 36.5 | 51 |
| 36.9 | 27 |
| 30.7 | 20 |
| 40.6 | 20 |
| 25.2 | 20 |
| 40.3 | 16 |
| 46.8 | 15 |
| 64.1 | 14 |

Structure:
a = 8.8641 Å, b = 8.8641 Å, c = 8.9540 Å
α = 90.00°, β = 90.00°, γ = 120.00°
Space group P6_3/mmc (No. 194)
Unique sites:
Lu  0.1954  0.3907  0.2500 [6 per cell]
Zn  0.0000  0.0000  0.0000 [2 per cell]
Zn  0.0000  0.5000  0.0000 [6 per cell]
Zn  0.1337  0.5669  0.7500 [6 per cell]
Zn  0.1593  0.3185  0.5912 [12 per cell]
Zn  0.3333  0.6667  0.0138 [4 per cell]



(3)
This entry pairs a crystal structure of Lu2Zn17 with its simulated powder X-ray diffraction pattern. Radiation: Cu Kα X-rays. Structure: a DFT-relaxed cell (PBE, the Materials Project).
Lines closer than 0.1° are merged.

The 10 most intense peaks (10 to 90 degrees two-theta), by intensity:
| 2theta | Rel. int. |
| --- | --- |
| 40.6 | 100 |
| 40.1 | 55 |
| 40.5 | 50 |
| 41.8 | 46 |
| 34.7 | 42 |
| 28.7 | 42 |
| 38.9 | 41 |
| 40.3 | 27 |
| 45.5 | 24 |
| 75.5 | 23 |

Structure:
a = 8.9549 Å, b = 15.5910 Å, c = 8.6499 Å
So much for the records of crystals:

The parabolic flight results are encouraging for future transfer systems, showing that both technologies offer significant improvement over current systems and offer mass and cost savings.


U.S. National Aeronautics and Space Administration